What You Don’t Know about RMDs Can (Really) Cost You
By Jim Terwilliger

Thank goodness for pre-tax retirement plans such as 401(k)s and traditional IRAs.
These plans offer attractive features that encourage saving for retirement, including:
• Contributions are pre-tax, resulting in the ability to deduct ongoing contributions from taxable income during one’s working years.
• Plans are portable, resulting in the ability to continue to build a retirement nest egg while working for several employers over a career — a model which is now rapidly becoming the norm.
• Income taxes are deferred until distributions are taken.
Eventually, Uncle Sam wants to collect taxes on the money set aside over the years. Enter the Required Minimum Distribution (RMD), the slow-but-steady distribution of money from these accounts that results in a slow-but-steady payment of income taxes. For workers’ non-inherited plans, this process is initiated at age 70-1/2.
Let’s take a look at some of the details as well as the consequences to the taxpayer if details are not followed.
IRS rules state that an RMD should be calculated for each account separately. Then, where aggregation is allowed, these RMD amounts can be added together and the distribution can be taken in any proportion from one or more of the aggregated accounts.
One of the benefits of IRAs is that RMDs for multiple IRA accounts can be aggregated. Traditional, SEP, and SIMPLE IRAs are treated as a combined group. The RMD is calculated for each account separately, but after that, the RMD amounts can then be added together and taken from any one or combination of accounts.
Surprisingly, the same is true for 403(b) accounts. Aggregation is allowed for RMD purposes across these employer plans.
The same is not true, however, for other employer plans. A taxpayer with multiple 401(k), governmental 457(b) or other similar plans must calculate the RMD for each individual plan and take that RMD from that plan only.
While RMDs are not required for non-inherited Roth IRAs, they are for Roth 401(k)s once the account holder reaches age 70-1/2 and is no longer employed by the company (or is still employed but owns more than 5 percent of the company). Following the 401(k) rule above, Roth 401(k) RMDs cannot be aggregated. The simple way around the RMD dilemma here is to roll the Roth 401(k) over to a Roth IRA, and the RMD requirement disappears.
Any IRA or 403(b) account making a series of substantially equal payments over a period of 10 years or more, or over life expectancy, cannot aggregate that payment with the RMDs from any other like retirement account. The distribution from the account making these payments is considered the RMD from that account only.
_Data records, as found in the file_
____________
(1)
The following is a DFT calculation (PBE-GGA) of a relaxed structure of Sr3Al2Si3O12.

ρ: 4.3 g/cm3
total magnetization: 0.02 μB/f.u.
symmetry: Ia-3d, No. 230
DFT total energy: -7.34 eV/atom
energy of formation: -3.3466 eV per atom

Cell and atoms, written as POSCAR:
```
Sr3Al2Si3O12
1.0
-6.1379 6.1379 6.1379
6.1379 -6.1379 6.1379
6.1379 6.1379 -6.1379
Si O Al Sr
12 48 8 12
Direct
0.6250 0.7500 0.3750
0.8750 0.2500 0.1250
0.8750 0.1250 0.7500
0.6250 0.3750 0.2500
0.2500 0.6250 0.3750
0.7500 0.3750 0.6250
0.1250 0.7500 0.8750
0.3750 0.2500 0.6250
0.1250 0.8750 0.2500
0.2500 0.1250 0.8750
0.3750 0.6250 0.7500
0.7500 0.8750 0.1250
0.3917 0.5825 0.8907
0.6093 0.9175 0.1083
0.1909 0.1083 0.9990
0.6083 0.6909 0.4990
0.0825 0.6909 0.6918
0.3082 0.8907 0.9990
0.3091 0.5010 0.3917
0.3907 0.8082 0.4990
0.6909 0.4990 0.6083
0.8907 0.9990 0.3082
0.3907 0.0825 0.8917
0.8917 0.0010 0.8091
0.0010 0.6918 0.1093
0.8091 0.4175 0.8082
0.1083 0.6093 0.9175
0.3082 0.9175 0.3091
0.8082 0.4990 0.3907
0.8082 0.8091 0.4175
0.8091 0.8917 0.0010
0.5825 0.1918 0.1909
0.1918 0.5010 0.6093
0.0825 0.8917 0.3907
0.6918 0.1093 0.0010
0.9990 0.3082 0.8907
0.3091 0.3082 0.9175
0.6918 0.0825 0.6909
0.3917 0.3091 0.5010
0.6093 0.1918 0.5010
0.8907 0.3917 0.5825
0.5010 0.3917 0.3091
0.1909 0.5825 0.1918
0.5010 0.6093 0.1918
0.1918 0.1909 0.5825
0.9175 0.1083 0.6093
0.9990 0.1909 0.1083
0.4175 0.8082 0.8091
0.4990 0.3907 0.8082
0.8917 0.3907 0.0825
0.4990 0.6083 0.6909
0.1093 0.0010 0.6918
0.1093 0.6083 0.4175
0.1083 0.9990 0.1909
0.6909 0.6918 0.0825
0.0010 0.8091 0.8917
0.9175 0.3091 0.3082
0.4175 0.1093 0.6083
0.6083 0.4175 0.1093
0.5825 0.8907 0.3917
0.5000 0.0000 0.5000
0.0000 0.5000 0.5000
0.5000 0.5000 0.5000
0.0000 0.0000 0.0000
0.0000 0.0000 0.5000
0.5000 0.5000 0.0000
0.0000 0.5000 0.0000
0.5000 0.0000 0.0000
0.8750 0.7500 0.6250
0.3750 0.7500 0.1250
0.1250 0.3750 0.7500
0.2500 0.8750 0.6250
0.6250 0.8750 0.7500
0.1250 0.2500 0.3750
0.7500 0.6250 0.8750
0.6250 0.2500 0.8750
0.8750 0.6250 0.2500
0.3750 0.1250 0.2500
0.2500 0.3750 0.1250
0.7500 0.1250 0.3750
```

---

(2)
The following is a DFT calculation (PBE-GGA) of a relaxed structure of SrAl2Si2O8.

ρ: 3.0 g/cm3
total magnetization: 0.00 μB/f.u.
symmetry: C2/c, No. 15
DFT total energy: -7.60 eV/atom
energy of formation: -3.4415 eV per atom

Cell and atoms, written as POSCAR:
```
SrAl2Si2O8
1.0
-3.4460 -8.0027 -3.3071
0.1357 3.4435 -8.6590
7.3609 -3.4007 -2.3470
O Si Sr Al
32 8 4 8
Direct
0.5848 0.6799 0.1087
0.9848 0.7351 0.6948
0.4810 0.2301 0.2204
0.2649 0.0152 0.8052
0.6799 0.5848 0.6087
0.0595 0.1774 0.6154
0.8548 0.3555 0.5572
0.3201 0.4152 0.3913
0.6288 0.8711 0.4962
0.3225 0.5692 0.9911
0.9144 0.1777 0.0069
0.8226 0.9405 0.8846
0.3712 0.1289 0.5038
0.0152 0.2649 0.3052
0.1452 0.6445 0.4428
0.4152 0.3201 0.8913
0.2301 0.4810 0.7204
0.6775 0.4308 0.0089
0.6445 0.1452 0.9428
0.3555 0.8548 0.0572
0.4308 0.6775 0.5089
0.8223 0.0856 0.4931
0.8711 0.6288 0.9962
0.9405 0.8226 0.3846
0.7351 0.9848 0.1948
____________
_Here the page continues_
Note that an RMD cannot be rolled over from any one account to another account. The RMD is considered to be the first funds distributed from any retirement account during the year. IRA RMDs can, however, be transferred from one account to another. A transfer is when the IRA funds go directly from one financial institution to another. The RMD can then be taken later in the year.
There are two potential penalties when taxpayers make RMD aggregation mistakes — the penalty for excess contributions and the penalty for missed RMDs.
RMDs that are rolled over to another retirement plan create an excess contribution in the receiving account, which must be corrected. An excess contribution can be corrected without penalty by Oct. 15 of the year following the year for which the contribution was made. The amount of the excess plus/(minus) taxable gains/(losses) attributable to the excess must be removed from the account.
Excess contributions that are not corrected on time are subject to a penalty of 6 percent per year for every year they remain in the account. Form 5329 should be filed with the IRA owner’s tax return to report the excess contribution(s) and calculate the penalty, if any.
When a distribution is taken from the wrong type of account due to an aggregation error or the RMD is just not taken at all, this constitutes a missed RMD. The penalty for a missed RMD is a steep one – 50% of the amount not taken.
To rectify the situation, the taxpayer should immediately take the missed RMD, file Form 5329 to report the error, and follow the instructions to request relief.
Making RMD errors is easy to do, particularly when multiple accounts at multiple institutions are involved. Errors can be costly and take time to fix. Working with a trusted financial planner and tax professional is your best bet to stay on the straight and narrow.
James Terwilliger, CFP®, is senior vice president, financial planning officer, Wealth Strategies Group, Canandaigua National Bank & Trust Company. He can be reached at 585-419-0670 ext. 50630 or by email at jterwilliger@cnbank.com.